
Thoughts behind the VBCW force

-- Data records, kept here for reference --
# 1
PBEsol Y2TlPO, relaxed; symmetry = P4/mmm; raw formation energy = -0.018 eV per atom; DOS(E_F) = 0.698 states/eV per atom; ΔE to the lowest computed polymorph = 0.000 eV per atom
1.0
-3.168 2.650 2.554
-3.920 -2.735 -2.024
0.334 -3.383 3.924
Y Tl P O
2 1 1 1
Direct
0.000 0.500 0.000
0.000 0.000 0.500
0.500 0.000 0.000
0.000 0.000 0.000
0.500 0.500 0.500

---

# 2
PBEsol Y2TlPO, relaxed; symmetry = P4/mmm; raw formation energy = 0.723 eV per atom; DOS(E_F) = 0.637 states/eV per atom; ΔE to the lowest computed polymorph = 0.741 eV per atom
1.0
4.699 0.000 0.000
0.000 5.628 0.000
0.000 0.000 5.628
P Tl O Y
1 1 1 2
Direct
0.500 0.000 0.000
0.000 0.000 0.000
0.500 0.500 0.500
0.000 0.000 0.500
0.000 0.500 0.000

---

# 3
PBEsol TlZnP3O9, relaxed; symmetry = Pbcm; raw formation energy = -1.967 eV per atom; DOS(E_F) = 0.000 states/eV per atom
1.0
-0.162 4.167 3.011
1.701 -6.904 9.646
12.956 1.421 -1.268
O Zn P Tl
36 4 12 4
Direct
0.450 0.797 0.417
0.450 0.703 0.917
0.550 0.203 0.583
0.207 0.439 0.372
0.101 0.844 0.952
0.899 0.156 0.048
0.320 0.496 0.599
0.566 0.382 0.250
0.207 0.439 0.128
0.566 0.118 0.750
0.550 0.203 0.917
0.320 0.496 0.901
0.793 0.561 0.872
0.101 0.656 0.048
0.434 0.882 0.250
0.207 0.061 0.872
0.450 0.797 0.083
0.680 0.504 0.401
0.320 0.004 0.099
0.793 0.939 0.128
0.793 0.561 0.628
0.450 0.703 0.583
0.680 0.996 0.599
0.550 0.297 0.083
0.680 0.996 0.901
0.207 0.061 0.628
0.101 0.844 0.548
0.550 0.297 0.417
0.680 0.504 0.099
0.899 0.156 0.452
0.899 0.344 0.548
0.434 0.618 0.750
0.899 0.344 0.952
0.793 0.939 0.372
0.320 0.004 0.401
0.101 0.656 0.452
0.000 0.500 0.000
0.000 0.000 0.500
0.000 0.500 0.500
0.000 0.000 0.000
0.493 0.084 0.865
0.493 0.416 0.365
0.507 0.916 0.135
0.493 0.416 0.135
0.751 0.250 0.500
0.507 0.584 0.635
0.493 0.084 0.635
0.751 0.250 0.000
0.249 0.750 0.500
0.249 0.750 0.000
0.507 0.916 0.365
0.507 0.584 0.865
0.977 0.612 0.250
0.023 0.388 0.750
0.977 0.888 0.750
0.023 0.112 0.250

---

# 4
PBEsol Tm2P4O13, relaxed; symmetry = C222_1; raw formation energy = -2.726 eV per atom; DOS(E_F) = 0.000 states/eV per atom; ΔE to the lowest computed polymorph = 0.000 eV per atom
1.0
-0.031 0.493 -6.929
8.434 -1.069 -0.113
-1.072 -8.756 2.864
O P Tm
26 8 4
Direct
0.088 0.750 0.176
0.262 0.199 0.044
0.783 0.892 0.168
0.217 0.392 0.832
0.225 0.401 0.296
0.738 0.699 0.956
0.266 0.620 0.683
0.515 0.108 0.541
0.218 0.801 0.956
0.026 0.392 0.541
0.782 0.301 0.044
0.734 0.120 0.317
0.929 0.599 0.704
0.385 0.608 0.168
0.974 0.892 0.459
0.418 0.880 0.683
0.173 0.098 0.766
0.615 0.108 0.832
0.582 0.380 0.317
0.407 0.902 0.234
0.827 0.598 0.234
0.485 0.608 0.459
0.912 0.250 0.824
0.071 0.099 0.296
0.775 0.901 0.704
0.593 0.402 0.766
0.153 0.223 0.873
0.847 0.723 0.127
0.580 0.001 0.680
0.900 0.999 0.320
0.719 0.277 0.873
0.420 0.501 0.320
0.100 0.499 0.680
0.281 0.777 0.127
0.896 0.350 0.293
0.104 0.850 0.707
0.603 0.650 0.707
0.397 0.150 0.293

---

# 5
-- So much for the data records --

As I put in my previous post, this will explain my thinking behind my VBCW force and why I have chosen what units to include and also where they will sit in the overall VBCW story line.  We’ll start with the easy bit, the list; The leader is a 2nd Lieutenant with pistol, because you need an officer to lead and a small force like this would be lead by a junior officer.  There will also be a Medic with pistol, because who would want to go to battle with out one? Plus you get an extra order dice for other units to use.   Next up are two Regular Infantry squads each with 8 men including a LMG team, so six rifles and an LMG team. They are formed of eight men in order to free up some models to act as the officer and medic, plus some other positions such as attendants for the officer and medic if needed. They LMG is there to give some extra firepower to the squads.  The Rolls Royce Armoured car brings the heavier firepower. Nothing to heavy, it still only sports a MMG but I could upgrade it t

Misplaced materials data:
********
Version w
Entry from Alexandria: InBTeN2 after structural relaxation (PBE).

```
data_InBTeN2
_symmetry_space_group_name_H-M 'P 1'
_symmetry_Int_Tables_number 1
_cell_length_a 3.7652
_cell_length_b 3.7652
_cell_length_c 5.2994
_cell_angle_alpha 90.00
_cell_angle_beta 90.00
_cell_angle_gamma 90.00
loop_
_symmetry_equiv_pos_as_xyz
'x,y,z'
loop_
_atom_site_label
_atom_site_fract_x
_atom_site_fract_y
_atom_site_fract_z
N1 0.5000 0.0000 0.0000
N2 0.0000 0.5000 0.0000
Te1 0.0000 0.0000 0.5000
B1 0.0000 0.0000 0.0000
In1 0.5000 0.5000 0.5000
```

=====

Version x
Entry from Alexandria: InBTeN2 after structural relaxation (PBE).

```
data_InBTeN2
_symmetry_space_group_name_H-M 'P 1'
_symmetry_Int_Tables_number 1
_cell_length_a 4.1578
_cell_length_b 4.1578
_cell_length_c 6.6913
_cell_angle_alpha 90.00
_cell_angle_beta 90.00
_cell_angle_gamma 90.00
loop_
_symmetry_equiv_pos_as_xyz
'x,y,z'
loop_
_atom_site_label
_atom_site_fract_x
_atom_site_fract_y
_atom_site_fract_z
In1 0.0000 0.0000 0.0000
B1 0.5000 0.5000 0.5000
N1 0.0000 0.5000 0.0000
N2 0.5000 0.0000 0.0000
Te1 0.0000 0.0000 0.5000
```

=====

Most stable: version w (next structure +435 meV per atom)

=====

Version w
Entry from Alexandria: InBTe2N after structural relaxation (PBE).

```
data_InBTe2N
_symmetry_space_group_name_H-M 'P 1'
_symmetry_Int_Tables_number 1
_cell_length_a 6.7098
_cell_length_b 6.7098
_cell_length_c 2.7735
_cell_angle_alpha 90.00
_cell_angle_beta 90.00
_cell_angle_gamma 90.00
loop_
_symmetry_equiv_pos_as_xyz
'x,y,z'
loop_
_atom_site_label
_atom_site_fract_x
_atom_site_fract_y
_atom_site_fract_z
Te1 0.5000 0.0000 0.0000
Te2 0.0000 0.5000 0.0000
N1 0.0000 0.0000 0.5000
In1 0.5000 0.5000 0.5000
B1 0.0000 0.0000 0.0000
```

=====

Version x
Entry from Alexandria: InBTe2N after structural relaxation (PBE).

```
data_InBTe2N
_symmetry_space_group_name_H-M 'P 1'
_symmetry_Int_Tables_number 1
_cell_length_a 5.6194
_cell_length_b 5.6194
_cell_length_c 4.0587
_cell_angle_alpha 90.00
_cell_angle_beta 90.00
_cell_angle_gamma 90.00
loop_
_symmetry_equiv_pos_as_xyz
'x,y,z'
loop_
_atom_site_label
_atom_site_fract_x
_atom_site_fract_y
_atom_site_fract_z
In1 0.0000 0.0000 0.0000
N1 0.0000 0.0000 0.5000
B1 0.5000 0.5000 0.5000
Te1 0.5000 0.0000 0.0000
Te2 0.0000 0.5000 0.0000
```

=====

Most stable: version w (next structure +1710 meV per atom)

=====

Version w
Entry from Alexandria: Na2InB2 after structural relaxation (PBE).

```
data_Na2InB2
_symmetry_space_group_name_H-M 'P 1'
_symmetry_Int_Tables_number 1
_cell_length_a 6.0556
_cell_length_b 6.0556
_cell_length_c 4.5742
_cell_angle_alpha 90.00
_cell_angle_beta 90.00
_cell_angle_gamma 90.00
loop_
_symmetry_equiv_pos_as_xyz
'x,y,z'
loop_
_atom_site_label
_atom_site_fract_x
_atom_site_fract_y
_atom_site_fract_z
Na1 0.1786 0.6786 0.5000
Na2 0.6786 0.8214 0.5000
Na3 0.8214 0.3214 0.5000
Na4 0.3214 0.1786 0.5000
B1 0.4059 0.9059 0.0000
B2 0.5941 0.0941 0.0000
B3 0.9059 0.5941 0.0000
B4 0.0941 0.4059 0.0000
In1 0.5000 0.5000 0.0000
********

VBCW force

 So it’s been a while since I posted on this new blog, but I have been pondering and planning my VBCW and Bolt Action forces. I still need to talk to my local gaming group to find out exactly what rules and point or force sizes that they run for VBCW games but I’m going to start off building to the force below. This is a very basic force and I’ll go in to more details about why I choose the units I have in another post, but there is a reason for the choices.  So what is the force?  2nd Lieutenant with pistol (50) Medic with pistol (23) Regular Infantry with 8 men including a LMG team (100) Regular Infantry with 8 men including a LMG team (100) Roll Royce Armoured car  (70) 15cwt Truck (31) The numbers in brackets are the Bolt Action points values for each unit. The total points for this force, in its current state is 374 points. This is quite a small force and I could easily increase it to 500 points by the addition of another infantry squad and additional man for the medic or 2Lt. Bot

1st post

Inserted here: calculated crystals =
Compound: Ni2SeCl
Source: Alexandria
Functional: PBE-GGA
Structure: optimized geometry

Output
The calculation puts the distance to the lowest polymorph of the same formula at 0.242 eV per atom. The density of states at the Fermi level comes out at 4.83 states/eV per cell. For the total magnetic moment, the calculation gives 0.01 μB/cell. The calculation puts the formation energy without anion corrections at 102 meV/atom. The calculation puts the density at 5.1 g/cm³.

Unit cell a=3.7883 b=3.7883 c=6.8398 alpha=90.00 beta=90.00 gamma=129.27
Fractional coordinates of all 4 atoms:
Se  0.5000  0.5000  0.2500
Cl  0.5000  0.5000  0.7500
Ni  0.0000  0.0000  0.0149
Ni  0.0000  0.0000  0.4851

----------

# 1
Entry from Alexandria via LeMat-Bulk: a relaxed structure of Tc2Hg (PBE-GGA).

Unit cell a=4.6019 b=4.6019 c=5.4388 alpha=90.00 beta=90.00 gamma=120.00
Space group P6_3/mmc (No. 194)
Symmetry-distinct sites (fractional):
Tc: 0.0000 0.0000 0.0000 (multiplicity 2)
Tc: 0.3333 0.6667 0.2500 (multiplicity 2)
Hg: 0.3333 0.6667 0.7500 (multiplicity 2)

---

# 2
Entry from Alexandria via LeMat-Bulk: a relaxed structure of TcHg2 (PBE-GGA).

Unit cell a=4.9248 b=4.9248 c=2.8217 alpha=90.00 beta=90.00 gamma=90.00
Space group P4/mmm (No. 123)
Symmetry-distinct sites (fractional):
Tc: 0.0000 0.0000 0.0000 (multiplicity 1)
Hg: 0.0000 0.5000 0.5000 (multiplicity 2)

---

# 3
Entry from Alexandria via LeMat-Bulk: a relaxed structure of Tc2Hg (PBE-GGA).

Unit cell a=6.2908 b=6.2908 c=5.4679 alpha=90.00 beta=90.00 gamma=90.00
Space group I4/mcm (No. 140)
Symmetry-distinct sites (fractional):
Tc: 0.1215 0.3785 0.0000 (multiplicity 8)
Hg: 0.0000 0.0000 0.2500 (multiplicity 4)

---

# 4
Entry from Alexandria via LeMat-Bulk: a relaxed structure of Tc3Hg5 (PBE-GGA).

Unit cell a=8.1616 b=8.1616 c=5.3418 alpha=90.00 beta=90.00 gamma=120.00
Space group P6_3/mcm (No. 193)
Symmetry-distinct sites (fractional):
Tc: 0.0000 0.4137 0.2500 (multiplicity 6)
Hg: 0.0000 0.2293 0.7500 (multiplicity 6)
Hg: 0.3333 0.6667 0.0000 (multiplicity 4)

---

# 5
Entry from Alexandria via LeMat-Bulk: a relaxed structure of TcHg2 (PBE-GGA).

Unit cell a=8.3162 b=8.3162 c=2.9138 alpha=90.00 beta=90.00 gamma=120.00
Space group P-62m (No. 189)
Symmetry-distinct sites (fractional):
Tc: 0.0000 0.0000 0.0000 (multiplicity 1)
Tc: 0.3333 0.6667 0.5000 (multiplicity 2)
Hg: 0.0000 0.2905 0.5000 (multiplicity 3)
Hg: 0.0000 0.6165 0.0000 (multiplicity 3)

---

# 6
Entry from Alexandria via LeMat-Bulk: a relaxed structure of Tc2Hg (PBE-GGA).

Unit cell a=6.7481 b=6.7481 c=4.2987 alpha=90.00 beta=90.00 gamma=120.00
Space group P-62m (No. 189)
Symmetry-distinct sites (fractional):
Tc: 0.0000 0.2317 0.0000 (multiplicity 3)
Tc: 0.0000 0.4430 0.5000 (multiplicity 3)
Hg: 0.0000 0.0000 0.5000 (multiplicity 1)
Back to the entry =

 Ok, let's get this out there quickly. This blog is a side project to my main blog, the 265th Imperial Battle Group, and will be a very slow blog, with only a very few posts every so often when I come up with new ideas for my small Very British Civil War and early war Bolt Action force.   This First post is primarily just to get a post down here and make it "active". The site will change and evolve over the next few weeks and months as I get time to sit and get my ideas down on paper. Hopefully this might be of use to someone somewhere but I suspect that it won't but then that's not the point, the point is to just have somewhere to ramble on and if you want to listen to my ramblings or even join in, then your very welcome!